[Job]
Write out everything further below character by character.

[Data]
'''
[1]
A relaxed structure of AgPPdO. Source: OQMD via LeMat-Bulk, functional PBE.

Summary:
For the raw total energy, the calculation gives -4.5860 eV per atom. For the energy relative to the lowest polymorph listed for this composition, the calculation gives 0.0 kJ/mol of formula units.

Unit cell a=3.2754 b=7.1396 c=5.3391 alpha=90.00 beta=90.00 gamma=90.00
With the nearest neighbours (Å) after each atom.
Sites, in units of the cell vectors:
P (0.0000, 0.0778, 0.9493)  2 Pd 2.29, 1 Ag 2.46
Pd (0.5000, 0.3010, 0.9588)  2 O 2.08-2.14, 2 P 2.29
Pd (0.5000, 0.6990, 0.4588)  2 O 2.08-2.14, 2 P 2.29
Ag (0.0000, 0.7382, 0.0236)  2 O 2.28, 1 P 2.46
Ag (0.0000, 0.2618, 0.5236)  2 O 2.28, 1 P 2.46
P (0.0000, 0.9222, 0.4493)  2 Pd 2.29, 1 Ag 2.46
O (0.5000, 0.5736, 0.8223)  2 Pd 2.08-2.14, 2 Ag 2.28
O (0.5000, 0.4264, 0.3223)  2 Pd 2.08-2.14, 2 Ag 2.28

---

[2]
A relaxed structure of Sm3In3NiAu2. Source: OQMD via LeMat-Bulk, functional PBE.

Summary:
For the raw total energy, the calculation gives -4.5130 eV per atom. The total magnetization comes out at 0.00 μB/f.u.

Unit cell a=7.8005 b=7.8005 c=3.9573 alpha=90.00 beta=90.00 gamma=120.00
With the nearest neighbours (Å) after each atom.
Sites, in units of the cell vectors:
In (0.0000, 0.2428, 0.5000)  2 Ni 2.74, 2 Au 3.02
In (0.2428, 0.0000, 0.5000)  2 Ni 2.74, 2 Au 3.02
Au (0.3333, 0.6667, 0.5000)  3 In 3.02, 6 Sm 3.09
Sm (0.0000, 0.5977, 0.0000)  4 Au 3.09, 1 Ni 3.14, 6 In 3.38-3.40
Au (0.6667, 0.3333, 0.5000)  3 In 3.02, 6 Sm 3.09
In (0.7572, 0.7572, 0.5000)  2 Ni 2.74, 2 Au 3.02
Sm (0.5977, 0.0000, 0.0000)  4 Au 3.09, 1 Ni 3.14, 6 In 3.38-3.40
Ni (0.0000, 0.0000, 0.0000)  6 In 2.74
Sm (0.4023, 0.4023, 0.0000)  4 Au 3.09, 1 Ni 3.14, 6 In 3.38-3.40

---

[3]
A relaxed structure of YZrNO. Source: OQMD via LeMat-Bulk, functional PBE.

Summary:
For the raw total energy, the calculation gives -8.9968 eV per atom. The total magnetization comes out at 0.00 μB/f.u. For the energy relative to the lowest polymorph listed for this composition, the calculation gives 68.5 kJ/mol of formula units.

Unit cell a=4.1901 b=4.1901 c=8.0917 alpha=90.00 beta=90.00 gamma=90.00
With the nearest neighbours (Å) after each atom.
Sites, in units of the cell vectors:
O (0.5000, 0.5000, 0.0000)  4 Y 2.29
Y (0.0000, 0.5000, 0.8860)  4 O 2.29
N (0.0000, 0.5000, 0.4305)  4 Zr 2.17
O (0.0000, 0.0000, 0.0000)  4 Y 2.29
Y (0.5000, 0.0000, 0.1140)  4 O 2.29
N (0.5000, 0.0000, 0.5695)  4 Zr 2.17
Zr (0.5000, 0.5000, 0.5000)  4 N 2.17
Zr (0.0000, 0.0000, 0.5000)  4 N 2.17

---

[4]
A relaxed structure of NaAu. Source: OQMD via LeMat-Bulk, functional PBE.

Summary:
For the raw total energy, the calculation gives -2.6132 eV per atom.

Unit cell a=5.7274 b=5.7274 c=5.4633 alpha=90.00 beta=90.00 gamma=82.15
With the nearest neighbours (Å) after each atom.
Sites, in units of the cell vectors:
Au (0.0000, 0.0000, 0.0000)  4 Au 2.73-2.83
Na (0.8422, 0.5256, 0.2500)  6 Au 2.94-3.28, 3 Na 3.18-3.27
Au (0.6708, 0.3292, 0.7500)  2 Au 2.83, 8 Na 2.94-3.16
Au (0.0000, 0.0000, 0.5000)  4 Au 2.73-2.83
Na (0.5256, 0.8422, 0.7500)  6 Au 2.94-3.28, 3 Na 3.18-3.27
Au (0.3292, 0.6708, 0.2500)  2 Au 2.83, 8 Na 2.94-3.16
Na (0.1578, 0.4744, 0.7500)  6 Au 2.94-3.28, 3 Na 3.18-3.27
Na (0.4744, 0.1578, 0.2500)  6 Au 2.94-3.28, 3 Na 3.18-3.27

----------

1.
The following is a DFT calculation (PBE) of a geometry-optimized RbNi2Ge2 structure.

Cell: 7.024 7.024 7.024 Å, 144.78 144.78 50.66°
Positions (direct):
Rb1 0.000 0.000 0.000
Ni1 0.332 0.332 0.000
Ni2 0.668 0.668 0.000
Ge1 0.250 0.750 0.500
Ge2 0.750 0.250 0.500

Summary:
The formation energy is 0.048 eV/atom. The total magnetization is 0.00 μB/f.u.


2.
The following is a DFT calculation (PBE) of a geometry-optimized Rb2NiGe structure.

Cell: 9.367 9.367 9.367 Å, 93.29 93.29 152.27°
Positions (direct):
Rb1 0.375 0.167 0.292
Rb2 0.833 0.125 0.208
Rb3 0.875 0.083 0.708
Rb4 0.917 0.625 0.792
Ni1 0.000 0.000 0.000
Ni2 0.750 0.250 0.500
Ge1 0.250 0.750 0.500
Ge2 0.500 0.500 0.000

Summary:
'''

[Worked solution]
[1]
A relaxed structure of AgPPdO. Source: OQMD via LeMat-Bulk, functional PBE.

Summary:
For the raw total energy, the calculation gives -4.5860 eV per atom. For the energy relative to the lowest polymorph listed for this composition, the calculation gives 0.0 kJ/mol of formula units.

Unit cell a=3.2754 b=7.1396 c=5.3391 alpha=90.00 beta=90.00 gamma=90.00
With the nearest neighbours (Å) after each atom.
Sites, in units of the cell vectors:
P (0.0000, 0.0778, 0.9493)  2 Pd 2.29, 1 Ag 2.46
Pd (0.5000, 0.3010, 0.9588)  2 O 2.08-2.14, 2 P 2.29
Pd (0.5000, 0.6990, 0.4588)  2 O 2.08-2.14, 2 P 2.29
Ag (0.0000, 0.7382, 0.0236)  2 O 2.28, 1 P 2.46
Ag (0.0000, 0.2618, 0.5236)  2 O 2.28, 1 P 2.46
P (0.0000, 0.9222, 0.4493)  2 Pd 2.29, 1 Ag 2.46
O (0.5000, 0.5736, 0.8223)  2 Pd 2.08-2.14, 2 Ag 2.28
O (0.5000, 0.4264, 0.3223)  2 Pd 2.08-2.14, 2 Ag 2.28

---

[2]
A relaxed structure of Sm3In3NiAu2. Source: OQMD via LeMat-Bulk, functional PBE.

Summary:
For the raw total energy, the calculation gives -4.5130 eV per atom. The total magnetization comes out at 0.00 μB/f.u.

Unit cell a=7.8005 b=7.8005 c=3.9573 alpha=90.00 beta=90.00 gamma=120.00
With the nearest neighbours (Å) after each atom.
Sites, in units of the cell vectors:
In (0.0000, 0.2428, 0.5000)  2 Ni 2.74, 2 Au 3.02
In (0.2428, 0.0000, 0.5000)  2 Ni 2.74, 2 Au 3.02
Au (0.3333, 0.6667, 0.5000)  3 In 3.02, 6 Sm 3.09
Sm (0.0000, 0.5977, 0.0000)  4 Au 3.09, 1 Ni 3.14, 6 In 3.38-3.40
Au (0.6667, 0.3333, 0.5000)  3 In 3.02, 6 Sm 3.09
In (0.7572, 0.7572, 0.5000)  2 Ni 2.74, 2 Au 3.02
Sm (0.5977, 0.0000, 0.0000)  4 Au 3.09, 1 Ni 3.14, 6 In 3.38-3.40
Ni (0.0000, 0.0000, 0.0000)  6 In 2.74
Sm (0.4023, 0.4023, 0.0000)  4 Au 3.09, 1 Ni 3.14, 6 In 3.38-3.40

---

[3]
A relaxed structure of YZrNO. Source: OQMD via LeMat-Bulk, functional PBE.

Summary:
For the raw total energy, the calculation gives -8.9968 eV per atom. The total magnetization comes out at 0.00 μB/f.u. For the energy relative to the lowest polymorph listed for this composition, the calculation gives 68.5 kJ/mol of formula units.

Unit cell a=4.1901 b=4.1901 c=8.0917 alpha=90.00 beta=90.00 gamma=90.00
With the nearest neighbours (Å) after each atom.
Sites, in units of the cell vectors:
O (0.5000, 0.5000, 0.0000)  4 Y 2.29
Y (0.0000, 0.5000, 0.8860)  4 O 2.29
N (0.0000, 0.5000, 0.4305)  4 Zr 2.17
O (0.0000, 0.0000, 0.0000)  4 Y 2.29
Y (0.5000, 0.0000, 0.1140)  4 O 2.29
N (0.5000, 0.0000, 0.5695)  4 Zr 2.17
Zr (0.5000, 0.5000, 0.5000)  4 N 2.17
Zr (0.0000, 0.0000, 0.5000)  4 N 2.17

---

[4]
A relaxed structure of NaAu. Source: OQMD via LeMat-Bulk, functional PBE.

Summary:
For the raw total energy, the calculation gives -2.6132 eV per atom.

Unit cell a=5.7274 b=5.7274 c=5.4633 alpha=90.00 beta=90.00 gamma=82.15
With the nearest neighbours (Å) after each atom.
Sites, in units of the cell vectors:
Au (0.0000, 0.0000, 0.0000)  4 Au 2.73-2.83
Na (0.8422, 0.5256, 0.2500)  6 Au 2.94-3.28, 3 Na 3.18-3.27
Au (0.6708, 0.3292, 0.7500)  2 Au 2.83, 8 Na 2.94-3.16
Au (0.0000, 0.0000, 0.5000)  4 Au 2.73-2.83
Na (0.5256, 0.8422, 0.7500)  6 Au 2.94-3.28, 3 Na 3.18-3.27
Au (0.3292, 0.6708, 0.2500)  2 Au 2.83, 8 Na 2.94-3.16
Na (0.1578, 0.4744, 0.7500)  6 Au 2.94-3.28, 3 Na 3.18-3.27
Na (0.4744, 0.1578, 0.2500)  6 Au 2.94-3.28, 3 Na 3.18-3.27

----------

1.
The following is a DFT calculation (PBE) of a geometry-optimized RbNi2Ge2 structure.

Cell: 7.024 7.024 7.024 Å, 144.78 144.78 50.66°
Positions (direct):
Rb1 0.000 0.000 0.000
Ni1 0.332 0.332 0.000
Ni2 0.668 0.668 0.000
Ge1 0.250 0.750 0.500
Ge2 0.750 0.250 0.500

Summary:
The formation energy is 0.048 eV/atom. The total magnetization is 0.00 μB/f.u.


2.
The following is a DFT calculation (PBE) of a geometry-optimized Rb2NiGe structure.

Cell: 9.367 9.367 9.367 Å, 93.29 93.29 152.27°
Positions (direct):
Rb1 0.375 0.167 0.292
Rb2 0.833 0.125 0.208
Rb3 0.875 0.083 0.708
Rb4 0.917 0.625 0.792
Ni1 0.000 0.000 0.000
Ni2 0.750 0.250 0.500
Ge1 0.250 0.750 0.500
Ge2 0.500 0.500 0.000

Summary: